Saturday, March 31, 2018

~~~
Starting from DFT lattice parameters and positions (PBE), the XRD peak list of PaTaNb14 was simulated for Cu Ka.
No peak broadening, texture or thermal motion is included.

Top 12 peaks for 10 to 90 degrees two-theta, by angle:
d = 4.717 Å, I = 3.0, (0 2 0); d = 4.219 Å, I = 2.3, (0 2 1); d = 3.337 Å, I = 1.8, (2 0 0); d = 3.147 Å, I = 1.7, (0 0 3); d = 2.726 Å, I = 1.6, (2 2 0); d = 2.619 Å, I = 2.0, (2 2 1); d = 2.360 Å, I = 100.0, (2 2 2); d = 2.289 Å, I = 1.0, (2 0 3); d = 1.784 Å, I = 1.0, (2 2 4); d = 1.669 Å, I = 17.0, (4 0 0); d = 1.362 Å, I = 34.0, (4 4 0); d = 1.180 Å, I = 10.6, (4 4 4)

Unit cell a=6.682 b=9.435 c=9.433 alpha=90.00 beta=90.00 gamma=90.00
Space group Cmmm (No. 65)
Symmetry-distinct sites (fractional):
1 Pa 0.000 0.000 0.000
2 Ta 0.000 0.500 0.000
3 Nb 0.000 0.000 0.500
4 Nb 0.000 0.255 0.254
5 Nb 0.000 0.500 0.500
6 Nb 0.246 0.000 0.251
7 Nb 0.250 0.250 0.000
8 Nb 0.250 0.250 0.500



Starting from DFT lattice parameters and positions (PBE), the XRD peak list of Sr2TaHg was simulated for Cu Ka.
No peak broadening, texture or thermal motion is included.

Top 12 peaks for 10 to 90 degrees two-theta, by angle:
d = 6.611 Å, I = 81.3, (0 0 2); d = 3.591 Å, I = 53.4, (0 1 1); d = 2.929 Å, I = 69.5, (1 1 1); d = 2.848 Å, I = 64.0, (0 1 3); d = 2.768 Å, I = 100.0, (1 0 4); d = 2.531 Å, I = 48.8, (2 0 0); d = 2.482 Å, I = 71.6, (1 1 3); d = 2.069 Å, I = 24.6, (2 1 1); d = 2.020 Å, I = 26.9, (1 0 6); d = 1.892 Å, I = 39.2, (2 1 3); d = 1.547 Å, I = 34.9, (1 2 4); d = 1.502 Å, I = 35.5, (2 2 0)

Unit cell a=5.062 b=3.731 c=13.222 alpha=90.00 beta=90.00 gamma=90.00
Space group Amm2 (No. 38)
Symmetry-distinct sites (fractional):
1 Sr 0.000 0.000 0.000
2 Sr 0.500 0.000 0.316
3 Ta 0.500 0.000 0.604
4 Hg 0.000 0.000 0.709



Starting from DFT lattice parameters and positions (PBE), the XRD peak list of Pr12HoEr2 was simulated for Cu Ka.
No peak broadening, texture or thermal motion is included.

Top 12 peaks for 10 to 90 degrees two-theta, by angle:
d = 3.140 Å, I = 27.9, (2 0 4); d = 3.065 Å, I = 43.8, (0 2 7); d = 2.993 Å, I = 64.1, (2 2 2); d = 2.930 Å, I = 65.0, (0 4 0); d = 2.892 Å, I = 18.6, (2 2 3); d = 2.770 Å, I = 100.0, (0 2 8); d = 2.483 Å, I = 31.3, (2 2 6); d = 2.142 Å, I = 18.8, (2 4 4); d = 1.659 Å, I = 20.3, (0 6 8); d = 1.614 Å, I = 18.1, (2 4 11); d = 1.541 Å, I = 18.4, (4 4 0); d = 1.516 Å, I = 18.5, (4 2 8)

Unit cell a=7.244 b=11.720 c=25.174 alpha=90.00 beta=90.00 gamma=90.00
Space group Cmme (No. 67)
Symmetry-distinct sites (fractional):
1 Pr 0.000 0.002 0.073
2 Pr 0.000 0.024 0.560
3 Pr 0.231 0.250 0.414
4 Pr 0.249 0.250 0.870
5 Pr 0.250 0.000 0.198
6 Pr 0.250 0.000 0.324
7 Ho 0.000 0.250 0.999
8 Er 0.000 0.250 0.267
9 Er 0.000 0.250 0.730



Starting from DFT lattice parameters and positions (PBE), the XRD peak list of Ce2Th2As5 was simulated for Cu Ka.
No peak broadening, texture or thermal motion is included.

Top 12 peaks for 10 to 90 degrees two-theta, by angle:
~~~

Blog 7 - People are the real products

A particular comic strip in economix that really made sense to me, is a page 153 where the author talks about people being the actual product.  This resonated with me because when I think about our consumer economy I always think about how I am constantly trying to be convinced that I need certain commodities.  The companies cannot make a product that people will not want, so I can only imagine how much time and money is put into researching their real products, US!  It is similar to our talks about drugs, people need to be convinced they have this issue that a drug will fix or will be the cure all to their unhealthy lifestyle.
The extent in which companies have invested in their product (US) is outrageous.  Earlier today I went on Petsmart to look at fish tanks; I was on the site for maybe 5 minutes, but in that 5 minutes I had already been analyzed as their product and now they were going to try and convince me I NEEDED a new fish tank.  Right now, I have ads from Petsmart on the side panels on just about every website I visit; some even offer a discount if I 'CLICK NOW'!
Data mining is part of our everyday lives and our normal economy now, whether we think it is okay or not; I for one think it is downright creepy.  It almost seems like an invasion of our privacy that has been slid under the rug of what is the 'I accept the terms and agreements' button, which has been deemed okay by society.  But who actually benefits, I for one have never clicked on the ad link and it does not influence how I shop.  With this in mind, I do not benefit from it.  Other companies do, however.  Over the years I can imagine there is quite the product profile on me and everyone else that companies use.  It is not hard to believe they are selling our information, their product that is 'US'; because in case you did not it, people are the real products.  My only question is, how far will this go and to what extent has it gone already?


  1. Louder so the people in the back can here you. No but in all seriousness, data mining has become more of an issue lately due to our increased reliance and time spent on the internet. It's kind of a pain to relinquish small pieces of our privacy to use something that we really need nowadays. And its not like we can exactly give up the internet and live in the middle of nowhere with no internet connection to protect our security because, as tempting as that sounds, most of us plan to use our computer and phones for homework or for our jobs. Yes, we are the product but that doesn't mean we want to be treated like one all the time and especially not at the expense of our privacy.

What comes next are calculated crystals, not part of the page
'''
Record 1
Structure and computed powder diffraction line list of Na2TbWO6 (DFT lattice parameters and positions (GGA+U); Cu Kα, 1.54184 Å).
No peak broadening, texture or thermal motion is included.

```
data_Na2TbWO6
_symmetry_space_group_name_H-M 'F m -3 m'
_symmetry_Int_Tables_number 225
_symmetry_space_group_name_Hall '-F 4 2 3'
_cell_length_a 8.3704
_cell_length_b 8.3704
_cell_length_c 8.3704
_cell_angle_alpha 90.00
_cell_angle_beta 90.00
_cell_angle_gamma 90.00
loop_
_atom_site_label
_atom_site_fract_x
_atom_site_fract_y
_atom_site_fract_z
_atom_site_occupancy
Na1 0.2500 0.2500 0.2500 1
Tb1 0.0000 0.0000 0.0000 1
W1 0.0000 0.0000 0.5000 1
O1 0.0000 0.0000 0.2680 1
```

The 10 most intense peaks (10° ≤ 2θ ≤ 90°), by angle:
two_theta	I/Imax
21.23	100
30.20	99
37.21	11
43.23	34
48.65	43
53.64	40
62.80	21
67.09	20
71.25	18
87.14	22

Record 2
Structure and computed powder diffraction line list of Na5TbW4O16 (DFT lattice parameters and positions (GGA+U); Cu Kα, 1.54184 Å).
No peak broadening, texture or thermal motion is included.

```
data_Na5TbW4O16
_symmetry_space_group_name_H-M 'I 41/a'
_symmetry_Int_Tables_number 88
_cell_length_a 11.7305
_cell_length_b 11.7305
_cell_length_c 11.6178
_cell_angle_alpha 90.00
_cell_angle_beta 90.00
_cell_angle_gamma 90.00
loop_
_symmetry_equiv_pos_as_xyz
'x,y,z'
'-x,-y,-z'
'-y+3/4,x+1/4,z+1/4'
'y+3/4,-x+1/4,-z+1/4'
'-x+1/2,-y,z+1/2'
'x+1/2,y,-z+1/2'
'y+3/4,-x+3/4,z+3/4'
'-y+3/4,x+3/4,-z+3/4'
'x+1/2,y+1/2,z+1/2'
'-x+1/2,-y+1/2,-z+1/2'
'-y+1/4,x+3/4,z+3/4'
'y+1/4,-x+3/4,-z+3/4'
'-x,-y+1/2,z'
'x,y+1/2,-z'
'y+1/4,-x+1/4,z+1/4'
'-y+1/4,x+1/4,-z+1/4'
loop_
_atom_site_label
_atom_site_fract_x
_atom_site_fract_y
_atom_site_fract_z
_atom_site_occupancy
Na1 0.0000 0.2500 0.1250 1
Na2 0.1219 0.0454 0.8418 1
Tb1 0.0000 0.2500 0.6250 1
W1 0.0959 0.0688 0.3587 1
O1 0.0269 0.3994 0.2716 1
O2 0.0616 0.3630 0.7939 1
O3 0.0847 0.4329 0.5648 1
O4 0.1798 0.4671 0.9838 1
```

The 10 most intense peaks (10° ≤ 2θ ≤ 90°), by angle:
two_theta	I/Imax
10.72	29
18.56	58
24.01	17
28.55	100
28.65	17
30.78	12
34.18	19
46.66	23
53.37	11
57.80	22

Record 3
Structure and computed powder diffraction line list of NaVTeO5 (DFT lattice parameters and positions (GGA+U); Cu Kα, 1.54184 Å).
No peak broadening, texture or thermal motion is included.

```
data_NaVTeO5
_symmetry_space_group_name_H-M 'P 1 21/c 1'
_symmetry_Int_Tables_number 14
_cell_length_a 5.9375
_cell_length_b 11.7583
_cell_length_c 6.9138
_cell_angle_alpha 90.00
_cell_angle_beta 103.22
_cell_angle_gamma 90.00
loop_
_symmetry_equiv_pos_as_xyz
'x,y,z'
'-x,-y,-z'
'-x,y+1/2,-z+1/2'
'x,-y+1/2,z+1/2'
loop_
_atom_site_label
_atom_site_fract_x
_atom_site_fract_y
_atom_site_fract_z
_atom_site_occupancy
Na1 0.1669 0.2187 0.1800 1
V1 0.3365 0.6253 0.5873 1
Te1 0.2421 0.5589 0.0949 1
O1 0.1184 0.0913 0.5208 1
O2 0.1481 0.7152 0.6599 1
O3 0.1733 0.5562 0.3578 1
O4 0.4381 0.5211 0.7797 1
O5 0.4417 0.1999 0.9591 1
```

The 10 most intense peaks (10° ≤ 2θ ≤ 90°), by angle:
two_theta	I/Imax
15.13	77
'''

  2. Well I for one, do hope you buy a fish tank because fish are great. But in all seriousness, yes data mining really is creepy. I constantly find pug adored clothing and nerdy zelda collectables advertised to me daily and it's almost preposterous to believe that any of what we do on our computers is in total privacy. And the worst thing about it, is that it's so hard to escape. For example, as nice as it is to be on Facebook for the distant relative and friend connection, once you create a profile, you're almost signing a life long contract with Mark Zuckerberg. You basically cannot delete your profile, it is only suspended, which I can only imagine what that really means for our privacy. What a world we live in...


Final Blog

I am profoundly interested in the Cartesian split. I knew what it was pretty vaguely before this course, but did not fully understand it at ...